DFT (PBE-GGA) results for an optimized crystal structure of AcThHg4.

Output
As for the raw total energy: -2.296 eV/atom. Its magnetic moment is 0.0 μB per formula unit. Its symmetry is F-43m (216).

a = 6.124 Å, b = 6.124 Å, c = 6.124 Å
α = 60.00°, β = 60.00°, γ = 60.00°
Positions (direct):
Ac (0.000, 0.000, 0.000)
Hg (0.126, 0.625, 0.625)
Hg (0.625, 0.625, 0.126)
Hg (0.625, 0.126, 0.625)
Hg (0.625, 0.625, 0.625)
Th (0.250, 0.250, 0.250)

=====

# YAuC

Find the line further above that holds "(0.126, 0.625,", then transcribe that line and all lines after it there, please.

Hg (0.126, 0.625, 0.625)
Hg (0.625, 0.625, 0.126)
Hg (0.625, 0.126, 0.625)
Hg (0.625, 0.625, 0.625)
Th (0.250, 0.250, 0.250)

=====

# YAuC